Now count the lines further below that contain the word "distances" and give the number alone.

Computed, not measured: crystalline Rb4MnCu3Cl12 at its relaxed geometry at the GGA-PBE level of DFT.

a b c (Å): 9.8737 9.8737 9.8737
angles (deg): 90.00 90.00 90.00
Closest atoms and distances in Å follow each position.
Space group Im-3m (No. 229)
Unique sites:
Rb (0.2500, 0.2500, 0.2500) [8 per cell]  12 Cl 3.49
Mn (0.0000, 0.0000, 0.0000) [2 per cell]  6 Cl 2.37
Cu (0.0000, 0.0000, 0.5000) [6 per cell]  6 Cl 2.47-2.57
Cl (0.0000, 0.0000, 0.2396) [12 per cell]  1 Mn 2.37, 1 Cu 2.57
Cl (0.0000, 0.2500, 0.5000) [12 per cell]  2 Cu 2.47

## Properties
N(E_F) in states/eV/atom: 0.23
E_tot in eV per atom: -3.574

***

Computed, not measured: crystalline Ba2Li15Ag2 at its relaxed geometry at the GGA-PBE level of DFT.

a b c (Å): 10.2086 10.2086 14.9697
angles (deg): 90.00 90.00 120.00
Closest atoms and distances in Å follow each position.
Space group R-3m (No. 166, hexagonal axes)
Unique sites:
Ba (0.0000, 0.0000, 0.1534) [6 per cell]  18 Li 3.68-4.05, 1 Ag 3.73
Li (0.0000, 0.2657, 0.5000) [18 per cell]  6 Li 2.71-3.03
Li (0.0000, 0.5000, 0.0000) [9 per cell]  8 Li 2.84-2.90, 2 Ag 3.12
Li (0.0276, 0.5138, 0.3461) [18 per cell]  4 Li 2.84-3.03, 1 Ag 2.97
Ag (0.0000, 0.0000, 0.4027) [6 per cell]  1 Ag 2.91, 12 Li 2.97-3.12

## Properties
N(E_F) in states/eV/atom: 0.48
E_tot in eV per atom: -2.037
ΔE_f in meV/atom: -24

***

Computed, not measured: crystalline ThGaHg at its relaxed geometry at the GGA-PBE level of DFT.

a b c (Å): 3.4575 3.4575 25.9120
angles (deg): 90.00 90.00 90.00
Closest atoms and distances in Å follow each position.
Space group I4/mmm (No. 139)
Unique sites:
Th (0.0000, 0.0000, 0.1432) [4 per cell]  5 Ga 3.24-3.42, 4 Hg 3.36, 4 Th 3.46
Ga (0.0000, 0.0000, 0.2751) [4 per cell]  4 Ga 2.77
Hg (0.0000, 0.0000, 0.4455) [4 per cell]  1 Hg 2.82

## Properties
N(E_F) in states/eV/atom: 0.82
Polymorph energy (0 for the lowest one) in meV per atom: 194
E_tot in eV per atom: -3.759
ΔE_f in meV/atom: -176

***

The highest N(E_F) belongs to which entry? ThGaHg

***

Copy entry 2 word for word.
Computed, not measured: crystalline Ba2Li15Ag2 at its relaxed geometry at the GGA-PBE level of DFT.

a b c (Å): 10.2086 10.2086 14.9697
angles (deg): 90.00 90.00 120.00
Closest atoms and distances in Å follow each position.
Space group R-3m (No. 166, hexagonal axes)
Unique sites:
Ba (0.0000, 0.0000, 0.1534) [6 per cell]  18 Li 3.68-4.05, 1 Ag 3.73
Li (0.0000, 0.2657, 0.5000) [18 per cell]  6 Li 2.71-3.03
Li (0.0000, 0.5000, 0.0000) [9 per cell]  8 Li 2.84-2.90, 2 Ag 3.12
Li (0.0276, 0.5138, 0.3461) [18 per cell]  4 Li 2.84-3.03, 1 Ag 2.97
Ag (0.0000, 0.0000, 0.4027) [6 per cell]  1 Ag 2.91, 12 Li 2.97-3.12

## Properties
N(E_F) in states/eV/atom: 0.48
E_tot in eV per atom: -2.037
ΔE_f in meV/atom: -24

***

Which of these has the lowest E_tot? ThGaHg

----------

A plane-wave DFT calculation with PBE was carried out for SrZrAsO after structural relaxation.

Lattice parameters (Å, degrees): 4.283 4.283 8.592 90.00 90.00 90.00
Space group P4/nmm (No. 129, origin choice 2)
Unique sites:
Sr 0.250 0.750 0.000 x2
Zr 0.250 0.250 0.415 x2
As 0.250 0.250 0.753 x2
O 0.250 0.750 0.500 x2

Computed properties:
Theoretical density (g/cm3): 5.68
Distance to the lowest polymorph of the same formula (eV per atom): 0.600
Magnetization (μB per cell): 0.03

4